### Material
........
(1)
First-principles (PBE) data for an optimized crystal structure of TaMo2Se, as listed in Alexandria.

Computed properties:
Magnetic moment   0.00 μB/f.u.
E_form (uncorrected)   0.126 eV/atom

Unit cell a=5.412 b=5.412 c=4.332 alpha=66.38 beta=66.38 gamma=34.54
Fractional positions:
Se1 0.250 0.250 0.250
Mo1 0.998 0.998 0.003
Ta1 0.750 0.750 0.750
Mo2 0.502 0.502 0.497


(2)
First-principles (PBE) data for an optimized crystal structure of LiAl2Rh3, as listed in Alexandria.

Computed properties:
Energy of formation   -0.806 eV/atom
Magnetic moment   0.00 μB/f.u.

Unit cell a=2.990 b=2.990 c=8.863 alpha=90.00 beta=90.00 gamma=90.00
Fractional positions:
Al1 0.500 0.500 0.823
Li1 0.500 0.500 0.500
Rh1 0.000 0.000 0.334
Rh2 0.000 0.000 0.000
Rh3 0.000 0.000 0.666
Al2 0.500 0.500 0.177


(3)
First-principles (PBE) data for an optimized crystal structure of SmEuMg, as listed in Alexandria.

Computed properties:
Energy of formation   -0.014 eV/atom
Magnetic moment   7.27 μB/f.u.

Unit cell a=3.849 b=3.849 c=7.164 alpha=105.58 beta=105.58 gamma=90.00
Fractional positions:
Eu1 0.013 0.013 0.026
Mg1 0.673 0.673 0.346
Sm1 0.314 0.314 0.628


(4)
First-principles (PBE) data for an optimized crystal structure of SrBe2Se, as listed in Alexandria.

Computed properties:
Magnetic moment   0.00 μB/f.u.
E_form (uncorrected)   0.091 eV/atom

Unit cell a=7.562 b=7.562 c=6.090 alpha=51.62 beta=51.62 gamma=90.00
Fractional positions:
Be1 0.375 0.449 0.750
Se1 0.500 0.500 0.000
Sr1 0.000 0.000 0.000
Be2 0.551 0.125 0.250
Be3 0.199 0.625 0.250
Sr2 0.750 0.250 0.500
Be4 0.875 0.801 0.750
Se2 0.250 0.750 0.500


(5)
First-principles (PBE) data for an optimized crystal structure of Fe2NiAs, as listed in Alexandria.

Computed properties:
Energy of formation   0.226 eV/atom
Magnetic moment   4.73 μB/f.u.

Unit cell a=8.088 b=8.088 c=8.088 alpha=19.17 beta=19.17 gamma=19.17
Fractional positions:
Fe1 0.500 0.500 0.500
Fe2 0.000 0.000 0.000
Ni1 0.750 0.750 0.750
As1 0.250 0.250 0.250


(6)
First-principles (PBE) data for an optimized crystal structure of MgSe, as listed in Alexandria.

Computed properties:
Magnetic moment   0.00 μB/f.u.
E_form (uncorrected)   -1.177 eV/atom

Unit cell a=8.350 b=8.350 c=8.350 alpha=30.32 beta=30.32 gamma=30.32
Fractional positions:
Mg1 0.788 0.788 0.788
Se1 0.098 0.098 0.098
Mg2 0.212 0.212 0.212
Se2 0.902 0.902 0.902


[1]
This record from the Alexandria database describes a geometry-optimized Ca2HgSbAs structure. The functional is PBE-GGA.

Lattice parameters (Å, degrees): 8.111 4.329 8.567 90.00 113.91 90.00
Space group P2_1/m (No. 11)
Asymmetric unit:
1 Ca 0.043 0.250 0.337 x2
2 Ca 0.448 0.750 0.299 x2
3 Hg 0.374 0.750 0.901 x2
4 Sb 0.142 0.250 0.995 x2
5 As 0.274 0.750 0.547 x2

Raw total energy ... -17.1 eV per formula unit
Total moment ... 0.0 μB/f.u.

[2]
This record from the Alexandria database describes a geometry-optimized NaCaNdCl6 structure. The functional is PBE-GGA.

Lattice parameters (Å, degrees): 7.1110 7.1110 12.4092 90.00 90.00 120.00
Space group P-31c (No. 163)
Asymmetric unit:
1 Na 0.0000 0.0000 0.0000 x2
2 Ca 0.3333 0.6667 0.2500 x2
3 Nd 0.3333 0.6667 0.7500 x2
4 Cl 0.0000 0.3491 0.1294 x12

Raw total energy ... -39.0 eV per formula unit
Total moment ... 0.0 μB/f.u.

[3]
This record from the Alexandria database describes a geometry-optimized NbS5Cl structure. The functional is PBE-GGA.

Lattice parameters (Å, degrees): 4.969 5.270 11.827 90.00 90.00 90.00
Space group Imm2 (No. 44)
Asymmetric unit:
1 Nb 0.000 0.000 0.000 x2
2 S 0.000 0.000 0.196 x2
3 S 0.000 0.311 0.546 x4
4 S 0.197 0.000 0.802 x4
5 Cl 0.000 0.500 0.962 x2

Raw total energy ... -33.7 eV per formula unit
Total moment ... 0.0 μB/f.u.
........
### Wanted
What is needed: type out the whole of the lines further above verbatim.
### Reply
(1)
First-principles (PBE) data for an optimized crystal structure of TaMo2Se, as listed in Alexandria.

Computed properties:
Magnetic moment   0.00 μB/f.u.
E_form (uncorrected)   0.126 eV/atom

Unit cell a=5.412 b=5.412 c=4.332 alpha=66.38 beta=66.38 gamma=34.54
Fractional positions:
Se1 0.250 0.250 0.250
Mo1 0.998 0.998 0.003
Ta1 0.750 0.750 0.750
Mo2 0.502 0.502 0.497


(2)
First-principles (PBE) data for an optimized crystal structure of LiAl2Rh3, as listed in Alexandria.

Computed properties:
Energy of formation   -0.806 eV/atom
Magnetic moment   0.00 μB/f.u.

Unit cell a=2.990 b=2.990 c=8.863 alpha=90.00 beta=90.00 gamma=90.00
Fractional positions:
Al1 0.500 0.500 0.823
Li1 0.500 0.500 0.500
Rh1 0.000 0.000 0.334
Rh2 0.000 0.000 0.000
Rh3 0.000 0.000 0.666
Al2 0.500 0.500 0.177


(3)
First-principles (PBE) data for an optimized crystal structure of SmEuMg, as listed in Alexandria.

Computed properties:
Energy of formation   -0.014 eV/atom
Magnetic moment   7.27 μB/f.u.

Unit cell a=3.849 b=3.849 c=7.164 alpha=105.58 beta=105.58 gamma=90.00
Fractional positions:
Eu1 0.013 0.013 0.026
Mg1 0.673 0.673 0.346
Sm1 0.314 0.314 0.628


(4)
First-principles (PBE) data for an optimized crystal structure of SrBe2Se, as listed in Alexandria.

Computed properties:
Magnetic moment   0.00 μB/f.u.
E_form (uncorrected)   0.091 eV/atom

Unit cell a=7.562 b=7.562 c=6.090 alpha=51.62 beta=51.62 gamma=90.00
Fractional positions:
Be1 0.375 0.449 0.750
Se1 0.500 0.500 0.000
Sr1 0.000 0.000 0.000
Be2 0.551 0.125 0.250
Be3 0.199 0.625 0.250
Sr2 0.750 0.250 0.500
Be4 0.875 0.801 0.750
Se2 0.250 0.750 0.500


(5)
First-principles (PBE) data for an optimized crystal structure of Fe2NiAs, as listed in Alexandria.

Computed properties:
Energy of formation   0.226 eV/atom
Magnetic moment   4.73 μB/f.u.

Unit cell a=8.088 b=8.088 c=8.088 alpha=19.17 beta=19.17 gamma=19.17
Fractional positions:
Fe1 0.500 0.500 0.500
Fe2 0.000 0.000 0.000
Ni1 0.750 0.750 0.750
As1 0.250 0.250 0.250


(6)
First-principles (PBE) data for an optimized crystal structure of MgSe, as listed in Alexandria.

Computed properties:
Magnetic moment   0.00 μB/f.u.
E_form (uncorrected)   -1.177 eV/atom

Unit cell a=8.350 b=8.350 c=8.350 alpha=30.32 beta=30.32 gamma=30.32
Fractional positions:
Mg1 0.788 0.788 0.788
Se1 0.098 0.098 0.098
Mg2 0.212 0.212 0.212
Se2 0.902 0.902 0.902


[1]
This record from the Alexandria database describes a geometry-optimized Ca2HgSbAs structure. The functional is PBE-GGA.

Lattice parameters (Å, degrees): 8.111 4.329 8.567 90.00 113.91 90.00
Space group P2_1/m (No. 11)
Asymmetric unit:
1 Ca 0.043 0.250 0.337 x2
2 Ca 0.448 0.750 0.299 x2
3 Hg 0.374 0.750 0.901 x2
4 Sb 0.142 0.250 0.995 x2
5 As 0.274 0.750 0.547 x2

Raw total energy ... -17.1 eV per formula unit
Total moment ... 0.0 μB/f.u.

[2]
This record from the Alexandria database describes a geometry-optimized NaCaNdCl6 structure. The functional is PBE-GGA.

Lattice parameters (Å, degrees): 7.1110 7.1110 12.4092 90.00 90.00 120.00
Space group P-31c (No. 163)
Asymmetric unit:
1 Na 0.0000 0.0000 0.0000 x2
2 Ca 0.3333 0.6667 0.2500 x2
3 Nd 0.3333 0.6667 0.7500 x2
4 Cl 0.0000 0.3491 0.1294 x12

Raw total energy ... -39.0 eV per formula unit
Total moment ... 0.0 μB/f.u.

[3]
This record from the Alexandria database describes a geometry-optimized NbS5Cl structure. The functional is PBE-GGA.

Lattice parameters (Å, degrees): 4.969 5.270 11.827 90.00 90.00 90.00
Space group Imm2 (No. 44)
Asymmetric unit:
1 Nb 0.000 0.000 0.000 x2
2 S 0.000 0.000 0.196 x2
3 S 0.000 0.311 0.546 x4
4 S 0.197 0.000 0.802 x4
5 Cl 0.000 0.500 0.962 x2

Raw total energy ... -33.7 eV per formula unit
Total moment ... 0.0 μB/f.u.